THE MYSTERY OF BELICENA VILLCA / EDITION 2022 2022 / Official English Version | Page 46

The Mistery of Belicena Villca
When my ancestors acquired the rights to the Lordship of Tharsis , which was then very small and devastated by the recent war against the Phoenicians , naturally they took over the Local Cult , although they lacked a Perennial Lamp . They practically did not introduce reforms regarding the Promise because they accepted as a fact that the heart was related with the apple blossom and that the worship of the Goddess would cause a transmutation analogous to the rose flower . Only in Regard to Fire could be appreciated the first visible effect that the family mission was having on the Lords of Tharsis ; they added the word " cold " to the title of the Goddess , that is , that Belisana was now " the Goddess of Cold Fire ". They explained that change as a local revelation of the Goddess . She had spoken to the Lords of Tharsis ; in the communication , she affirmed that it would be Her Fire that would be installed in the heart of man and would transmute him ; and that this Fire , at first extremely warm , would eventually become colder than ice : and it would be that Cold Fire what would produce the mutation of human nature .
**The page is interrupted by calculated crystals:**
! Pr5Si3O13, relaxed, DFT PBE-GGA; values from VASP
&SYSTEM
  ibrav = 0, nat = 42, ntyp = 3
/
ATOMIC_SPECIES
Pr 140.91 Pr.upf
Si 28.09 Si.upf
O 16.00 O.upf
ATOMIC_POSITIONS crystal
Pr 0.010 0.242 0.250
Pr 0.232 0.990 0.250
Pr 0.242 0.232 0.750
Pr 0.333 0.667 0.001
Pr 0.333 0.667 0.499
Pr 0.667 0.333 0.501
Pr 0.667 0.333 0.999
Pr 0.758 0.768 0.250
Pr 0.768 0.010 0.750
Pr 0.990 0.758 0.750
Si 0.028 0.399 0.750
Si 0.370 0.972 0.750
Si 0.399 0.370 0.250
Si 0.601 0.630 0.750
Si 0.630 0.028 0.250
Si 0.972 0.601 0.250
O 0.000 0.000 0.250
O 0.000 0.000 0.750
O 0.091 0.343 0.567
O 0.091 0.343 0.933
O 0.122 0.594 0.750
O 0.165 0.683 0.250
O 0.251 0.909 0.567
O 0.251 0.909 0.933
O 0.317 0.482 0.250
O 0.343 0.251 0.067
O 0.343 0.251 0.433
O 0.406 0.528 0.750
O 0.472 0.878 0.750
O 0.482 0.165 0.750
O 0.518 0.835 0.250
O 0.528 0.122 0.250
O 0.594 0.472 0.250
O 0.657 0.749 0.567
O 0.657 0.749 0.933
O 0.683 0.518 0.750
O 0.749 0.091 0.067
O 0.749 0.091 0.433
O 0.835 0.317 0.750
O 0.878 0.406 0.250
O 0.909 0.657 0.067
O 0.909 0.657 0.433
CELL_PARAMETERS angstrom
9.757 0.000 0.000
-4.878 8.450 0.000
0.000 0.000 7.160
! energy of formation from the pure elements: -3.584 eV/atom
! corrected total energy (MP2020 scheme): -8.561 eV per atom
! ρ: 5.6 g cm⁻³
! size of the total moment: 0.0 μB per cell

* * * * *

--- i ---
This record from Materials Project describes crystalline KCa2Nb3O10 at its relaxed geometry. The functional is GGA-PBE.

Space group: Cmc2_1 (36)
V: 465.6 Å³/cell

Cell: 15.0981 15.0981 7.8721 Å, 90.00 90.00 164.96°
Fractional coordinates of all 32 atoms:
K  0.2431  0.7569  0.5000
K  0.7569  0.2431  0.0000
Ca  0.0718  0.9282  0.5104
Ca  0.0763  0.9237  0.0040
Ca  0.9237  0.0763  0.5040
Ca  0.9282  0.0718  0.0104
Nb  0.3564  0.6436  0.7553
Nb  0.3583  0.6417  0.2477
Nb  0.4981  0.5019  0.7471
Nb  0.5019  0.4981  0.2471
Nb  0.6417  0.3583  0.7477
Nb  0.6436  0.3564  0.2553
O  0.9996  0.0004  0.2111
O  0.0004  0.9996  0.7111
O  0.1259  0.8741  0.7451
O  0.1279  0.8721  0.2561
O  0.2970  0.7030  0.7903
O  0.2990  0.7010  0.2094
O  0.3588  0.6412  0.4997
O  0.3818  0.6182  0.0002
O  0.4345  0.5655  0.6800
O  0.4376  0.5624  0.3039
O  0.4816  0.5184  0.9828
O  0.5184  0.4816  0.4828
O  0.5624  0.4376  0.8039
O  0.5655  0.4345  0.1800
O  0.6182  0.3818  0.5002
O  0.6412  0.3588  0.9997
O  0.7010  0.2990  0.7094
O  0.7030  0.2970  0.2903
O  0.8721  0.1279  0.7561
O  0.8741  0.1259  0.2451


--- ii ---
This record from Materials Project describes crystalline KCa2Nb3O10 at its relaxed geometry. The functional is GGA-PBE.

Space group: P2_1/m (11)
V: 924.7 Å³/cell

Cell: 7.8549 7.8084 15.1906 Å, 90.00 97.01 90.00°
Fractional coordinates of all 64 atoms:
K  0.1306  0.2500  0.0096
K  0.3641  0.7500  0.9772
K  0.6359  0.2500  0.0228
K  0.8694  0.7500  0.9904
Ca  0.2017  0.7500  0.3508
Ca  0.2160  0.2500  0.3509
Ca  0.2881  0.7500  0.6381
Ca  0.2926  0.2500  0.6580
Ca  0.7074  0.7500  0.3420
Ca  0.7119  0.2500  0.3619
Ca  0.7840  0.7500  0.6491
We must see in this change something more than a simple addition of words : it was the first time that in a Cult emerged the possibility of facing and overcoming fear , that is , the feeling that in all Cults assured the submission of the believer ; the fear of the Gods is necessary and essential to be kept alive to ensure the terrestrial authority of the Priests ; If man does not fear them , in the end he will rebel against the Gods : but before he will rise up against the Priests of the Gods . However , this change will not be seen if something that is not so obvious today is not clarified before : the fact that in all Indo-Germanic languages " frio ” ( frigid , froze , freeze , fresh etc .) and " temor " ( fear , fright ) have the same root , which can still be sensed , for example , in escalo-frío ( de terror ) shiver ( of terror ). Well , in that time , the word " frio " was synonymous with " terror " and , consequently , what the new Cult meant was that a nameless terror would settle in the heart of the believer as " Grace of the Goddess "; and that this terror would cause his perfection .
Thus Belisana , the Goddess of Cold Fire , had also become the " Goddess of Terror ", a title that , although the Lords of Tharsis could not know it , belonged in very remote times to the same Goddess , because Navutan ' s wife was also known as “ Frya , The One Who Instills Terror in the Soul and Relief to the Spirit ”.
Materials data, kept here for reference:
No. 1
# Zn2NiIrO6

A geometry-optimized Zn2NiIrO6 structure (PBE with a Hubbard U, the Materials Project).

a b c (Å): 7.395 9.250 7.395
angles (deg): 66.88 90.38 113.12
Positions (direct):
O 0.700 0.425 0.119
O 0.631 0.925 0.050
O 0.369 0.075 0.950
O 0.131 0.925 0.550
O 0.721 0.739 0.868
O 0.534 0.056 0.300
O 0.550 0.443 0.784
O 0.450 0.556 0.216
O 0.200 0.425 0.619
O 0.118 0.761 0.972
O 0.300 0.575 0.881
O 0.034 0.056 0.800
O 0.382 0.239 0.529
O 0.221 0.739 0.368
O 0.050 0.443 0.284
O 0.778 0.261 0.632
O 0.869 0.075 0.450
O 0.618 0.761 0.472
O 0.466 0.943 0.700
O 0.882 0.239 0.029
O 0.800 0.575 0.381
O 0.950 0.556 0.716
O 0.278 0.261 0.132
O 0.966 0.943 0.200
Zn 0.347 0.742 0.122
Zn 0.628 0.242 0.402
Zn 0.371 0.758 0.598
Zn 0.652 0.258 0.879
Zn 0.152 0.258 0.379
Zn 0.848 0.742 0.622
Zn 0.871 0.758 0.098
Zn 0.128 0.242 0.902
Ir 0.000 0.500 0.500
Ir 0.500 0.500 0.000
Ir 0.250 0.000 0.750
Ir 0.750 0.000 0.250
Ni 0.751 0.001 0.749
Ni 0.251 0.000 0.249
Ni 0.000 0.500 0.000
Ni 0.501 0.501 0.500

Properties
For the calculated total energy, the calculation gives -214.11 eV per cell. Its formation energy from the elements is -1.34 eV/atom. The corrected total energy (MP2020 scheme) comes out at -6.019 eV/atom.

No. 2
# Gd3WCl3O6

A geometry-optimized Gd3WCl3O6 structure (PBE with a Hubbard U, the Materials Project).

a b c (Å): 9.221 9.221 5.333
angles (deg): 90.00 90.00 120.00
Positions (direct):
Gd 0.090 0.685 0.250
Gd 0.315 0.405 0.250
Gd 0.405 0.090 0.750
Gd 0.595 0.910 0.250
Gd 0.685 0.595 0.750
Gd 0.910 0.315 0.750
W 0.333 0.667 0.750
W 0.667 0.333 0.250
Cl 0.049 0.809 0.750
Cl 0.191 0.240 0.750
Cl 0.240 0.049 0.250
Cl 0.760 0.951 0.750
Cl 0.809 0.760 0.250
Cl 0.951 0.191 0.250
O 0.157 0.522 0.514
O 0.157 0.522 0.986
O 0.365 0.843 0.514
O 0.365 0.843 0.986
O 0.478 0.635 0.514
O 0.478 0.635 0.986
O 0.522 0.365 0.014
O 0.522 0.365 0.486
O 0.635 0.157 0.014
O 0.635 0.157 0.486
O 0.843 0.478 0.014
O 0.843 0.478 0.486

Properties
For the calculated total energy, the calculation gives -240.20 eV per cell. Its formation energy from the elements is -2.94 eV/atom. The corrected total energy (MP2020 scheme) comes out at -9.897 eV/atom. The symmetry is P6_3/m, No. 176.

No. 3
# Li7Mn4P8O28

A geometry-optimized Li7Mn4P8O28 structure (PBE with a Hubbard U, the Materials Project).

a b c (Å): 9.907 9.928 11.373
angles (deg): 77.11 89.81 89.69
Positions (direct):
Li 0.000 0.000 0.000
Li 0.014 0.571 0.986
Li 0.030 0.585 0.483
Li 0.195 0.234 0.582
Li 0.200 0.262 0.073
Li 0.218 0.828 0.057
Li 0.328 0.528 0.581
Li 0.500 0.330 0.059
Li 0.528 0.753 0.570
Li 0.673 0.077 0.492
Li 0.696 0.066 0.987
Li 0.713 0.503 0.002
Li 0.827 0.804 0.477
Li 0.887 0.302 0.477
Mn 0.030 0.714 0.704
Mn 0.190 0.117 0.358
Mn 0.324 0.663 0.854
Mn 0.392 0.153 0.854
Mn 0.525 0.620 0.348
Mn 0.683 0.213 0.702
Mn 0.819 0.673 0.205
Mn 0.892 0.169 0.207
P 0.040 0.855 0.272
P 0.060 0.441 0.269
P 0.156 0.389 0.790
P 0.175 0.975 0.785
P 0.256 0.793 0.453
P 0.313 0.534 0.138
P 0.402 0.033 0.138
After their arrival in the Iberian Peninsula , the Golen tried in numerous occasions to occupy the Sacred Forest and control the Cult of the Goddess of Cold Fire , but they were always rejected by the jealous and stubborn mystical madness of the Lords of Tharsis . They even offered an authentic Perennial Lamp of the brown Atlanteans , knowing that they lacked it and that they were forced to constantly watch over the flame of their primitive oil lamp with asbestos . It is not necessary to clarify that they offered it in exchange for the unification of the Cult and the institution of the ritual Sacrifice , and that such a proposal was unacceptable to the Lords of Tharsis , which is obvious at this point in the story . As it is also evident that this resistance , unusual for those who had imposed themselves on all native peoples , coupled with the impossibility of seizing the Wise Sword , was festering them permanently against the Lords of Tharsis . The reaction of the Golen triggered that international campaign encouraging the conquest of Tharsis that culminated in the dangerous attempted Phoenician invasion from the Balearic Islands and Gades , or Cadiz . But the Lords of Tharsis summoned the Lydians and made the Phoenicians desist from their conquering project for at least the next four centuries . From the alliance between Iberians and Lydians arose the " Empire of Tartessos ", which soon expanded throughout all Andalusia , " Tartessos ", and deprived the Phoenicians of coastal colonies in their territory . The Balearic Islands and the island of Leon , seat of Gades , were isolated from mainland because the Tartessians only allowed them to maintain a meager trade through its own ports . What would the Golen ' s next reaction be in the face of that power that was developing beyond their control and that frustrated all their plans ? Before answering , dear and , paradoxically , patient Doctor Siegnagel , I must inform you of the consequences that the presence of the Lydians produced in the Cold Fire Cult .